Faculty publications from the Department of Theological Studies at LMU can be found here.


Works from 1988

Introduction to the Tantraloka, Christopher Chapple

Kapil Tiwari, ed. Suffering: Indian Perspectives. In RSR. Vol. 14, No. 1 (1988), p. 80. Bimal K. Matilal. Perception: An Essay on Classical Indian Theories of Perception. In RSR. Vol. 14, No. 2 (1988), p. 136., Christopher Chapple

Navjivan Rastogi. Introduction to the Tantraloka. In RSR. Vol. 14, No. 2 (1988), p. 180., Christopher Chapple

Paul Murphy. Triadic Mysticism: The Mystical Theology of the Saivism of Kashmir. In RSR. Vol. 14, No. 1 (1988), p. 90., Christopher Chapple


Perception: An Essay on Classical Indian Theories of Knowledge, Christopher Chapple

Perception: An Essay on Classical Indian Theories of Perception, Christopher Chapple

Suffering: Indian Perspectives, Christopher Chapple

Triadic Mysticism: The Mystical Theology of the Saivism of Kashmir, Christopher Chapple


Talking Back to Rome? J.R. Dionne on Papal Magisterium and the Church, Thomas P. Rausch

Works from 1987

Aurobindo's Philosophy of Brahman, Christopher Chapple

Foreword, Christopher Chapple

John Taber. Transformative Philosophy. In RSR. Vol. 13, No. 3 (1987), p. 239., Christopher Chapple

Kashmir Shaivism, Christopher Chapple

Stephen H. Phillips. Aurobindo's Philosophy of Brahman. In RSR. Vol. 13, No. 3 (1987), p. 280., Christopher Chapple

Transformative Philosophy, Christopher Chapple


Transformative Philosophy, Christopher Chapple


Authority and Credibility, Thomas P. Rausch


BEM: Moving Towards Accord in Faith, Thomas P. Rausch


Ecumenism and the Bishop of Rome, Thomas P. Rausch

Works from 1986

India and the West, Christopher Chapple

J.C. Chatterji. Kashmir Shaivism. In RSR. Vol. 13, No. 4, p. 364., Christopher Chapple

J.L. Mehta. India and the West. In RSR. Vol. 12, No. 3 (1986), p. 264, Christopher Chapple

Noninjury to Animals: Jaina and Buddhist Perspectives, Christopher Chapple


Dharma and Gospel: Two Ways of Seeing, Christopher Key Chapple


Karma and Creativity, Christopher Key Chapple

Works from 1985


Hinduism: A Beautiful Mosaic and Ego: Revealer-Concealer, Christopher Chapple

Hinduism: A Beautiful Mosaic and Ego: Revealer-Concealer, Christopher Chapple

The Jaina Path of Purification, Christopher Chapple

Yoga and Cross Cultural Understanding, Christopher Chapple


Religious Experience and Scientific Paradigms: Proceedings of the IASWR Conference, 1982, Christopher Key Chapple

Unrelated to this page: materials data:
┌──
Density functional theory data (r²SCAN) for a geometry-optimized Ca2GaCu2 structure.

abc: 5.641 5.641 5.641
angles: 135.39 123.47 74.72
Positions (direct):
Ca1 0.195 0.195 0.000
Ca2 0.805 0.805 0.000
Ga1 0.500 0.000 0.500
Cu1 0.246 0.500 0.746
Cu2 0.754 0.500 0.254

Computed properties:
ΔE_f = -292 meV/atom
symmetry = Immm
raw total energy = -9.735 eV per atom



Density functional theory data (r²SCAN) for a geometry-optimized CaGaCu structure.

abc: 5.493 5.493 7.205
angles: 128.55 128.55 47.47
Positions (direct):
Ca1 0.056 0.056 0.309
Ca2 0.944 0.944 0.691
Ga1 0.330 0.330 0.897
Ga2 0.670 0.670 0.103
Cu1 0.336 0.336 0.267
Cu2 0.664 0.664 0.733

Computed properties:
ΔE_f = -361 meV/atom
symmetry = C2/m
raw total energy = -10.137 eV per atom



Density functional theory data (r²SCAN) for a geometry-optimized CaCuGe structure.

abc: 21.267 4.338 7.422
angles: 90.00 90.00 90.00
Positions (direct):
Ca1 0.002 0.250 0.214
Ca2 0.166 0.250 0.293
Ca3 0.167 0.750 0.705
Ca4 0.333 0.250 0.205
Ca5 0.334 0.750 0.793
Ca6 0.498 0.750 0.714
Ca7 0.502 0.250 0.286
Ca8 0.666 0.250 0.207
Ca9 0.667 0.750 0.795
Ca10 0.833 0.250 0.295
Ca11 0.834 0.750 0.707
Ca12 0.998 0.750 0.786
Cu1 0.063 0.750 0.419
Cu2 0.098 0.250 0.916
Cu3 0.235 0.250 0.911
Cu4 0.265 0.750 0.411
Cu5 0.402 0.750 0.416
Cu6 0.437 0.250 0.919
Cu7 0.563 0.750 0.081
Cu8 0.598 0.250 0.584
Cu9 0.735 0.250 0.589
Cu10 0.765 0.750 0.089
Cu11 0.902 0.750 0.084
Cu12 0.937 0.250 0.581
Ge1 0.069 0.250 0.592
Ge2 0.102 0.750 0.085
Ge3 0.230 0.750 0.081
Ge4 0.270 0.250 0.581
Ge5 0.398 0.250 0.585
Ge6 0.431 0.750 0.092
Ge7 0.569 0.250 0.908
Ge8 0.602 0.750 0.415
Ge9 0.730 0.750 0.419
Ge10 0.770 0.250 0.919
Ge11 0.898 0.250 0.915
Ge12 0.931 0.750 0.408

Computed properties:
ΔE_f = -510 meV/atom
symmetry = Pnma
raw total energy = -11.096 eV per atom
└──


Rome and Geneva: The Experience of Ecumenism, Thomas P. Rausch

Works from 1984

Introduction and Bibliography, Christopher Chapple


The Bhagavad Gita, Christopher Key Chapple


An Ecumenical Eucharist for a World Assembly, Thomas P. Rausch


Three Deaths in Bolivia, Thomas P. Rausch

Works from 1982


The Image of Mary: A Catholic Response, Thomas P. Rausch


The Image of Mary — II, Thomas P. Rausch

Works from 1981


The Concept of Will (Paurusa) in the Yogavasistha, Christopher Chapple


Book Review of Jeffrey Hopkins's "Tantra in Tibet" & Alex Wayman's "Calming the Mind and Discerning the Real: Buddhist Meditation and the Middle View", Christopher Key Chapple


Negative Theology of the Yogavasistha and the Lankavatara Sutra, Christopher Key Chapple


Lutherans and Catholics After the Augsburg Anniversary, Thomas P. Rausch


Women in the Church, Thomas P. Rausch

Works from 1980


Priesthood and Community: Reflections on the Vocation Crisis, Thomas P. Rausch

Works from 1979


Catholics, Lutherans and the Augsburg Confession, Thomas P. Rausch


Lutherans and Catholics on Infallibility, Thomas P. Rausch

Works from 1977


Ordination and the Ministry Willed by Jesus, Thomas P. Rausch

Works from 1971


The Piety of Jesus, Thomas P. Rausch